Tuesday, September 11, 2012



I didn't mention on Sunday's post that I had a somewhat sore back.  Sore enough that it restricts my freedom from powerwalking, or if I lean back a bit I get a slight 'spasm' I think feel that's uncomfortable.  And if lowering myself somewhere or getting up, I'm using props a bit, and sometimes halfway through think, hmmm, pain, 'lets change direction'.  In public I'm a bit concious of looking like an unfit older person as I have to grab some railing and get up slowly from a seat instead of jump out with complete freedom!l  Lying completely horizontally on my back feels like magic.  I am not sure exactly what caused this sore back, - but I know it happens on average about once every year or two and lasts about 5 days. 

I never have an 'incident' where it suddenly becomes sore.  I regularly do such stuff as cycle with a relatively heavy uneven load on my back for a reasonable or long distance.  I also often pick heavier loads than most people without thinking straight off the floor, know I can become lazy with bending knees, lowering self to lift properly etc.  Also when feeling slightly 'frenzied/outta the zone' my posture can be really bad I think.  Also, for over 2 weeks I haven't done any disciplined weight training which is very naughty, - however I can't blame this injury on poor form from resistance work!

I left work early yesterday, it was expected to be a quieter day but in the end wasn't!  Working was uncomfy, and I was prob going at 60% my normal pace if that all round.  I do feel guilty putting it down as sick leave, - as I wasn't sick, just injured and ended up having quite a productive but enjoyable afternoon on my arse.  So me being me, will prob deduct those few hours from my annual leave.  I had a workmate and a couple of others tell me though, (them seeing me hobble about):
* 'Go to get it seen to at a doctors, demand being referred to specialist for an x-ray, it's your back, you have only one, don't worry about work till there is no pain!  There may be issues that need treatment/operation/alignment, ....I know of such and such......who needed this and only known from a back x-ray'.....
* 'I have always had issues with my back, unless you regularly see a chiropractor to loosen it, various muscles/bones won't get enough oxygen.  Your back is worth it, you have only one, look after it, chiro appts may not always be the answer but it's better to keep on top of it than not go.  Once your back is stuffed, you lose everything sport wise'! (Enough to put shits up me a bit)

I keep hearing and know of lots of horror back stories.  And at the whiff of a sore back, I am fortunate that many people have shown concern for me. 

Once I went to a doc a few years ago to get docs certificate to be off work cause of a similar sore back - but they also gave me their recommendations, - tried to refer me to a specialist, told me I should have physio.  But the money issues!  That occasion I rang up my parents with the 'sob story'.  Their ideas are:
* backs in a similar scenario to mine mend themselves, as do lots of lightly sprained knees, ankles etc.  By all means google exercises etc, but don't be conned into spending money upfront for physios, scans, chiros etc upfront.  Different scenario if severe pain lasts a good few weeks or if something is broken of course.

In all honesty I have always found this to be the case with me luckily!
Mostly within a few days.  Once years ago I badly sprained an ankle by rolling it in a huge pothole when running , couldn't walk on it for about 3 days, then treaded lightly for a bit.  A few weeks later I could jog carefully but it took a few months to reach the strength of my other ankle.  About 3 months after that injury I explained my injury to a sports physiology tutor and she told me it would never heal fully,.....but it did very shortly after.

With my 'sore back' at the level it is, the luxury would be having this entire week off work, not moving much.  However the 'reality' is working, sucking it up, being a bit careful, even if I only operate at maybe 70% normal speed all round.  Either way, I think recovery time would be about the same.

Oh, I bought a dress from Veronika Maine!  A nice one, (size 14) that fits now, suits shape as best as poss atm, has the potential to be taken in, (not that I have ever done that).  Straight after work I went looking.  I felt a slob in the dressing rooms seeing myself in dirty workclothes, (after working in food, cleaning all day, hair under a cap).  I saw myself from all angles as the angles in Myer show us.  Had no makeup, and pimples were more visible than I thought, I won't even get onto stomach area.

In general, secretly I think I can be quite attractive if I do hair such as straighten and comb it, wear nice natural makeup, concealer, mascara, eyeliner and wear decent clothes.  Optimally I would like to look leaner and more toned, (particularly mid section right now).  I deem best features to be arms, shoulders and legs below my knees, other than that smile!  But I did look like a slob today at all angles in that mirror in work gear, straight after work!

**The entry is interrupted by crystal structures:**
+++
No. 1
Structure and calculated powder diffraction line list of Ba2NpVN5 (a cell relaxed with GGA-PBE; Cu Kα X-rays).
Kinematic intensities with the Lorentz-polarization factor, no thermal factor.

Structure:
```
Ba2NpVN5
1.0
1.7980 -7.5541 0.0000
1.7980 7.5541 0.0000
0.0000 0.0000 11.6610
Ba Np V N
4 2 2 10
Cartesian
1.7980 5.9235 5.8305
1.7980 5.4679 1.7507
1.7980 -5.4679 7.5812
1.7980 -5.9235 0.0000
1.7980 4.5296 9.9571
1.7980 -4.5296 4.1266
1.7980 0.7974 3.0171
1.7980 -0.7974 8.8476
1.7980 6.7637 9.6489
1.7980 3.1520 5.3855
1.7980 2.6192 2.7014
1.7980 2.5944 9.7122
1.7980 0.0092 1.5224
1.7980 -0.0092 7.3529
1.7980 -2.5944 3.8817
1.7980 -2.6192 8.5319
1.7980 -3.1520 11.2160
1.7980 -6.7637 3.8184
```

The 10 most intense peaks (2θ = 10–90°), by angle:
d = 7.554 Å, 2θ 11.7, I = 35.4; d = 4.616 Å, 2θ 19.2, I = 37.6; d = 3.593 Å, 2θ 24.8, I = 33.3; d = 3.456 Å, 2θ 25.8, I = 84.4; d = 2.927 Å, 2θ 30.5, I = 49.9; d = 2.839 Å, 2θ 31.5, I = 43.4; d = 2.600 Å, 2θ 34.5, I = 100.0; d = 2.461 Å, 2θ 36.5, I = 36.1; d = 2.150 Å, 2θ 42.0, I = 35.0; d = 1.797 Å, 2θ 50.8, I = 29.2

No. 2
Structure and calculated powder diffraction line list of Ba6NO2 (a cell relaxed with GGA-PBE; Cu Kα X-rays).
Kinematic intensities with the Lorentz-polarization factor, no thermal factor.

Structure:
```
Ba6NO2
1.0
-3.6970 7.6519 6.9345
3.6970 -7.6519 6.9345
3.6970 7.6519 -6.9345
Ba N O
12 2 4
Cartesian
5.8094 -1.5474 2.1804
5.5572 2.6807 0.0000
1.5847 -1.5474 4.7542
1.5847 1.5474 2.1804
1.8602 4.9712 0.0000
2.1123 9.1993 -2.1804
1.5847 -1.5474 9.1149
1.8368 2.6807 6.9345
2.1123 6.1046 4.7542
2.1123 9.1993 2.1804
-1.8602 4.9712 6.9345
-2.1123 9.1993 4.7542
0.0000 0.0000 3.4673
0.0000 0.0000 10.4018
0.6860 2.6892 0.0000
4.3830 4.9627 0.0000
-0.6860 2.6892 6.9345
3.0110 4.9627 6.9345
```

The 10 most intense peaks (2θ = 10–90°), by angle:
d = 5.138 Å, 2θ 17.3, I = 17.5; d = 3.826 Å, 2θ 23.2, I = 17.4; d = 3.697 Å, 2θ 24.1, I = 30.8; d = 3.489 Å, 2θ 25.5, I = 100.0; d = 3.300 Å, 2θ 27.0, I = 28.2; d = 2.659 Å, 2θ 33.7, I = 11.9; d = 2.312 Å, 2θ 39.0, I = 10.4; d = 2.092 Å, 2θ 43.2, I = 19.9; d = 2.055 Å, 2θ 44.1, I = 8.0; d = 1.960 Å, 2θ 46.3, I = 10.4

No. 3
Structure and calculated powder diffraction line list of Ba3P6N8O6 (a cell relaxed with GGA-PBE; Cu Kα X-rays).
Kinematic intensities with the Lorentz-polarization factor, no thermal factor.

Structure:
```
Ba3P6N8O6
1.0
7.4777 0.0000 0.0000
-3.7388 6.4759 0.0000
0.0000 0.0000 6.4312
Ba P N O
3 6 8 6
Cartesian
0.0000 0.0000 0.0000
0.0000 4.3172 5.6835
3.7388 2.1586 0.7477
-0.1730 2.5938 2.5602
-1.4061 5.3288 2.5602
2.1598 1.4467 3.8711
1.5791 5.0291 2.5602
5.1449 1.1471 3.8711
3.9118 3.8821 3.8711
-1.0589 2.1302 3.8331
-1.3646 6.3278 3.8331
1.3154 1.9821 2.5981
0.0000 4.3172 2.7626
3.7388 2.1586 3.6686
2.4234 4.4937 3.8331
5.1034 0.1481 2.5981
4.7977 4.3456 2.5981
-0.7778 2.3854 1.1564
-1.2841 5.9568 1.1564
1.6769 1.8663 5.2749
2.0619 4.6095 1.1564
5.0229 0.5191 5.2749
4.5167 4.0904 5.2749
```
+++

So there we go!

Pip :-)


  1. Aaaaargh change room mirrors. No matter how good or in the least ok we look, they make us look like shit.

    I hope your back settles down soon and I think you're right in that it will on its own. Be careful about chiros that work on the basis of ongoing treatment where you're there weekly (or more often) for their treatments to work.


  2. Thanks Magda, I am sure the back will settle down. 2 more work days this week to get through, then time to sleep and chill :)

    I ended up buying some new shoes on special to match that dress and these shoes are neutral and will go OK with all smart casual clothes and jeans. I hadn't bought any type of half dress shoes in over 2 years! These are summery, comfy light tan sandals with only small heel. Gotta stop spending LOL!

    Other than training, (cause of back) I'm reverted toward on track behaviours again, am confident of being back in full swing (other than training) tomorrow!

  3. I'm with Magda. WHY do that put ridiculous unflattering lighting in changing rooms? They should lower the levels, play relaxing music and subliminally insert the message 'you look amaaazing'. Actually, handing a glass of champagne at the dressing room door would be a fine way to boost sales.

  4. also, you have my full sympathies on the back. I'm a veteran of back pain, and am lucky to have been pain free for several years now, with a few minor twinges. The biggie for me is yoga, keeping my muscles loose.

  5. Sara, thank you for your input! I always value your opinions as well as everyone elses highly! Glad to hear you have been back pain free now for years! As for the changing room mirrors, I was in very slobby dirty work clothes, disgusting shoes with no make up. That along with excess fat pockets and pimples, - blah! If in shape, even better with good muscle tone and no hanging out pockets of fat, no regrowth, nice light makeup, straightened 'done' hair I actually think I'm quite attractive haha!
